Given.
********
Here is C33H34ClF4GeN2O5SSc as an isolated structure from the Open Molecules 2025 dataset. Energies are from ωB97M-V with the def2-TZVPD basis set.

Properties
energy: -5858.7668 a.u.
F_max: 4.5 eV/A
HOMO energy: 0.74 eV
multiplicity: 1
Kohn-Sham gap: 0.13143 hartree
net charge: -2
ΔE to the lowest compared entry with this formula, charge and spin: 93.3 kcal per mole

Positions of all 82 atoms, in Å:
Sc (0.34288, -0.01245, 0.39026)
C (-1.97514, -2.07134, 1.43292)
N (-0.74904, -1.49613, 1.97669)
C (0.19909, -2.55870, 2.28664)
C (-1.00562, -0.71505, 3.19415)
C (-0.27070, 0.63982, 3.19480)
N (0.95763, 0.53109, 2.44389)
C (1.99559, 1.30394, 2.65830)
C (3.08643, 1.18340, 1.73249)
F (2.87935, 0.29774, 0.70729)
C (4.25841, 1.88399, 1.81812)
F (5.24574, 1.70920, 0.89911)
C (4.48255, 2.79182, 2.85228)
C (3.45166, 2.95805, 3.76192)
F (3.64764, 3.85668, 4.77147)
C (2.27071, 2.25217, 3.69859)
F (1.35701, 2.49102, 4.69282)
H (-2.55320, -2.60036, 2.21089)
H (-2.56250, -1.26535, 0.98521)
H (-1.71978, -2.77759, 0.64267)
H (-0.21611, -3.24805, 3.04594)
H (0.42970, -3.13585, 1.39447)
H (1.12847, -2.12075, 2.65292)
H (-2.07641, -0.52532, 3.30637)
H (-0.67617, -1.29298, 4.06967)
H (-0.91853, 1.37878, 2.69605)
H (-0.12557, 0.93877, 4.24154)
H (5.38903, 3.36303, 2.92682)
O (0.46350, -3.65228, -0.79322)
Cl (0.72723, -2.29994, -1.18348)
O (1.28008, -2.28810, -2.48489)
O (-0.48906, -1.56495, -1.14035)
O (1.63062, -1.72675, -0.24623)
O (0.92996, 1.57823, -0.57543)
S (-0.33651, 2.17361, -1.21227)
C (0.99322, 3.37093, -2.36650)
C (1.59670, 2.34598, -3.27156)
C (0.43687, 1.55006, -3.87562)
C (-0.56748, 1.21026, -2.78709)
H (1.69373, 3.84516, -1.69030)
H (0.37867, 4.10242, -2.88524)
H (2.21986, 1.68235, -2.66690)
H (2.21326, 2.75955, -4.09215)
H (0.80489, 0.63818, -4.35648)
H (-0.04009, 2.16053, -4.65189)
H (-0.48296, 0.17799, -2.45672)
H (-1.58779, 1.40352, -3.10640)
C (-1.42865, 1.17068, -0.13423)
Ge (-3.26015, 1.47058, -0.62188)
C (-4.28783, 2.00421, 1.06527)
C (-5.01796, 3.17706, 1.22410)
C (-5.64792, 3.48764, 2.41653)
C (-5.59553, 2.60820, 3.48450)
C (-4.88870, 1.42302, 3.34546)
C (-4.24057, 1.14466, 2.15825)
C (-3.47491, 2.99788, -1.93897)
C (-3.58662, 2.69255, -3.29432)
C (-3.52717, 3.66612, -4.27429)
C (-3.35571, 4.99381, -3.91725)
C (-3.23423, 5.32248, -2.57817)
C (-3.28795, 4.33354, -1.60928)
C (-4.90749, 0.33496, -1.28978)
C (-5.09001, -0.95401, -0.80584)
C (-6.16456, -1.73737, -1.19035)
C (-7.07411, -1.25499, -2.11674)
C (-6.92673, 0.03557, -2.59665)
C (-5.87520, 0.82415, -2.16020)
H (-5.10688, 3.85721, 0.38857)
H (-6.18942, 4.42320, 2.51393)
H (-6.11076, 2.83654, 4.40976)
H (-4.85274, 0.71890, 4.16943)
H (-3.68011, 0.22632, 2.05357)
H (-3.72631, 1.65836, -3.58842)
H (-3.60698, 3.38766, -5.32210)
H (-3.32373, 5.76449, -4.67961)
H (-3.08735, 6.35551, -2.28574)
H (-3.17682, 4.60376, -0.56818)
H (-4.36942, -1.34875, -0.10258)
H (-6.29254, -2.72984, -0.77170)
H (-7.89817, -1.87489, -2.45256)
H (-7.63878, 0.42941, -3.31520)
H (-5.81144, 1.84784, -2.50343)

=====

ORCA calculation (ωB97M-V/def2-TZVPD) on a structure of composition C48H60Cl3FIO5Y at a distorted geometry.

```
119
Properties=species:S:1:pos:R:3:forces:R:3
Y -0.021 -0.445 4.060 -0.410 -0.792 -0.006
C -2.714 1.609 4.026 -1.928 -5.967 -3.438
O -1.669 1.127 3.130 0.578 1.032 -1.294
C -1.793 1.525 1.746 -2.496 -2.132 0.187
C -2.758 0.796 0.960 1.169 0.077 -2.851
C -3.336 -0.724 1.305 -2.363 5.540 0.739
C -2.705 -1.928 0.659 2.048 4.404 6.084
C -3.248 -2.339 -0.451 4.284 -8.032 -0.281
C -2.741 -3.632 -0.862 2.178 1.399 1.856
C -1.547 -4.134 -0.017 -2.527 1.466 -6.308
C -0.904 -3.329 0.946 1.844 -6.711 -0.719
C 0.402 -3.955 1.692 -3.479 -2.811 -6.113
C 1.311 -3.031 1.223 6.196 4.819 -2.294
C 1.716 -2.959 -0.161 -2.893 -4.582 -2.780
C 2.498 -2.069 -0.804 3.402 2.564 1.612
C 3.139 -1.244 0.205 -0.119 5.124 -4.496
C 2.753 -1.054 1.501 1.953 1.065 1.214
C 3.409 0.192 2.262 1.988 0.690 1.739
C 3.059 1.532 1.609 -5.944 -3.107 5.575
C 3.752 2.160 0.688 -1.558 4.831 -0.717
********

Wanted.
Next, search the listing above for the word "composition" and echo each line that has it.

Done.
ORCA calculation (ωB97M-V/def2-TZVPD) on a structure of composition C48H60Cl3FIO5Y at a distorted geometry.